(Given)
=====
(1)
The following is a DFT calculation (wB97M-V/def2-TZVPD) of an isolated molecule of C16H21NO2.

Cartesian coordinates (Å):
C1 1.056 -3.845 3.227
C2 0.467 -2.481 2.871
C3 1.225 -1.866 1.705
O1 2.052 -0.988 1.840
N1 0.914 -2.408 0.507
C4 1.521 -1.968 -0.735
C5 1.148 -0.522 -1.072
C6 -0.366 -0.307 -1.210
C7 -0.907 -0.681 -2.604
C8 -0.915 0.625 -3.417
C9 -0.982 1.696 -2.366
C10 -1.273 3.037 -2.513
C11 -1.268 3.875 -1.402
C12 -0.964 3.331 -0.169
C13 -0.667 1.974 -0.012
C14 -0.680 1.157 -1.115
C15 -0.411 1.708 1.442
C16 -0.514 3.125 2.040
O2 -0.924 4.019 1.003
H1 0.971 -4.538 2.392
H2 2.108 -3.742 3.481
H3 0.535 -4.270 4.082
H4 -0.591 -2.581 2.618
H5 0.561 -1.809 3.724
H6 0.182 -3.096 0.458
H7 2.608 -2.030 -0.629
H8 1.202 -2.650 -1.525
H9 1.647 -0.229 -1.996
H10 1.527 0.110 -0.270
H11 -0.871 -0.867 -0.417
H12 -1.929 -1.052 -2.508
H13 -0.309 -1.456 -3.081
H14 0.005 0.732 -3.999
H15 -1.753 0.671 -4.113
H16 -1.507 3.442 -3.486
H17 -1.496 4.925 -1.492
H18 0.566 1.258 1.622
H19 -1.169 1.038 1.857
H20 0.452 3.475 2.421
H21 -1.250 3.191 2.846

Summary:
Relative energy (zero: lowest compared OMol25 entry of this formula, charge and spin): 57.9 kJ/mol
HOMO-LUMO gap: 8.5 eV
Charge: 0
HOMO: -7.82 eV
LUMO energy: 0.666 eV


(2)
The following is a DFT calculation (wB97M-V/def2-TZVPD) of a structure of composition C62H69AsFN7O4P2Se2Ti at a distorted geometry.

Cartesian coordinates (Å):
Ti1 -0.204 -1.561 -0.346
C1 -2.899 5.767 0.019
C2 -2.828 4.787 1.177
N1 -2.603 3.401 0.726
C3 -1.390 2.853 0.892
C4 -1.041 1.607 0.449
C5 0.299 1.065 0.844
O1 1.210 1.782 1.163
O2 0.329 -0.256 0.871
C6 -1.974 0.858 -0.308
O3 -1.707 -0.226 -0.892
C7 -3.313 1.402 -0.401
C8 -4.322 0.628 -0.998
C9 -5.588 1.112 -1.036
F1 -6.560 0.408 -1.650
C10 -5.940 2.365 -0.484
C11 -4.939 3.136 0.078
C12 -3.614 2.663 0.122
N2 -7.271 2.791 -0.559
C13 -8.340 1.837 -0.249
C14 -9.421 2.493 0.584
N3 -10.009 3.652 -0.185
C15 -8.942 4.519 -0.848
C16 -7.569 4.182 -0.301
H1 -3.083 6.772 0.396
H2 -3.694 5.516 -0.684
H3 -1.957 5.781 -0.528
H4 -3.723 4.808 1.799
H5 -1.995 5.034 1.831
H6 -0.652 3.446 1.418
H7 -4.071 -0.333 -1.430
H8 -5.176 4.094 0.512
H9 -7.952 0.999 0.332
H10 -8.775 1.412 -1.158
H11 -9.036 2.896 1.518
H12 -10.230 1.802 0.808
H13 -10.589 4.216 0.437
H14 -10.636 3.290 -0.904
H15 -9.207 5.558 -0.674
H16 -8.989 4.311 -1.915
H17 -7.501 4.465 0.760
H18 -6.856 4.809 -0.839
Se1 -0.169 -4.092 2.024
Se2 -1.708 -3.400 -1.547
C17 -2.708 -2.882 -0.034
C18 -4.048 -3.165 0.224
C19 -4.613 -2.639 1.368
C20 -3.856 -1.817 2.208
C21 -2.543 -1.568 1.876
N4 -1.989 -2.124 0.793
C22 0.990 -4.258 0.614
C23 1.712 -5.461 0.402
C24 2.633 -5.562 -0.596
C25 2.881 -4.438 -1.407
C26 2.150 -3.312 -1.182
N5 1.188 -3.215 -0.223
H19 -4.606 -3.795 -0.454
H20 -5.642 -2.866 1.617
H21 -4.274 -1.400 3.113
H22 -1.881 -0.977 2.498
H23 1.504 -6.283 1.073
H24 3.178 -6.485 -0.748
H25 3.633 -4.444 -2.184
H26 2.325 -2.421 -1.757
C27 0.778 0.046 4.414
P1 1.963 -1.075 3.556
C28 3.457 0.029 3.550
N6 3.637 0.866 4.539
C29 4.807 1.553 4.600
C30 5.035 2.464 5.658
C31 6.242 3.094 5.758
C32 7.266 2.846 4.813
C33 7.062 1.984 3.775
C34 5.815 1.329 3.645
N7 5.586 0.517 2.579
C35 4.427 -0.086 2.493
P2 4.042 -1.013 0.925
C36 4.955 -2.566 1.288
C37 5.138 -0.181 -0.355
C38 6.648 -0.392 -0.244
C39 4.688 -0.790 -1.694
C40 4.799 1.312 -0.374
C41 2.403 -2.289 4.928
C42 2.826 -1.707 6.273
C43 3.521 -3.173 4.367
C44 1.155 -3.158 5.137
H27 1.255 0.620 5.208
H28 -0.031 -0.553 4.836
H29 0.347 0.743 3.693
H30 4.242 2.622 6.377
H31 6.428 3.784 6.570
H32 8.218 3.349 4.920
H33 7.827 1.784 3.036
H34 5.960 -2.378 1.667
H35 5.016 -3.183 0.390
H36 4.389 -3.125 2.034
H37 6.904 -1.450 -0.333
H38 7.043 -0.019 0.696
H39 7.143 0.132 -1.068
H40 4.832 -1.874 -1.715
H41 5.280 -0.359 -2.508
H42 3.634 -0.576 -1.887
H43 5.203 1.823 0.498
H44 3.716 1.477 -0.385
H45 5.232 1.773 -1.268
H46 3.763 -1.157 6.215
H47 2.962 -2.528 6.983
H48 2.068 -1.037 6.682
H49 4.429 -2.599 4.162
H50 3.201 -3.666 3.446
H51 3.779 -3.948 5.093
H52 0.373 -2.615 5.671
H53 1.419 -4.026 5.747
=====
(Activity)
Please filter the listing further up: keep the lines with the word "H52".
(Completed)
H52 0.373 -2.615 5.671